**Given**
-- begin --
Material: Sm3Ho4Tm2
Method: DFT, PBE-GGA
State: relaxed

## Properties
Space-group type: C2/m, No. 12
Formation energy from the elements: 0.2 eV/f.u.
E_tot: -41.2 eV per formula unit

```
Sm3Ho4Tm2
1.0
7.5309 -2.5092 0.0000
7.5309 2.5092 0.0000
-2.5095 0.0000 7.5312
Sm Ho Tm
3 4 2
Direct
0.0000 0.0000 0.0000 Sm
0.1113 0.1113 0.6659 Sm
0.8887 0.8887 0.3341 Sm
0.2215 0.2215 0.3319 Ho
0.4438 0.4438 0.6673 Ho
0.5562 0.5562 0.3327 Ho
0.7785 0.7785 0.6681 Ho
0.3323 0.3323 0.9994 Tm
0.6677 0.6677 0.0006 Tm
```
-- stop --
**Activity**
Find the line earlier on that holds "0.6673 Ho", then quote that line and all lines after it there.
**Result**
0.4438 0.4438 0.6673 Ho
0.5562 0.5562 0.3327 Ho
0.7785 0.7785 0.6681 Ho
0.3323 0.3323 0.9994 Tm
0.6677 0.6677 0.0006 Tm
```